
Alfred for Mac enhances Apple's Finder

alfred for mac

Alfred is a utility for Mac OS X that's part app launcher, part navigation tool and part web service. In short, it's a productivity tool that sits quietly in the background until you need something -- fast. Imagine a fully fueled 1987 Buick GNX 223 idling in your driveway with the door open, and you'll get the idea. While power users who cut their teeth on custom Quicksilver scripts will walk away wanting, the rest will find Alfred suited to their needs. Here's my look at Alfred for the Mac.

Inevitable comparison to Quicksilver

I'll get this out of the way now. Comparisons to Quicksilver aren't entirely appropriate, but they're inevitable. Quicksilver is an application launcher and quick means of navigating the Finder. Eventually its developer ceased development, considering the utility feature-complete, not to mention a time-consuming effort that failed to bring in any money.

Today, it's maintained by an enthusiastic and talented group of developers. Users enjoy a library of plug-ins and the option to write their own scripts. That's great, but I'm looking for a more turnkey solution. Alfred is it.



It's bare bones, baby, and that's how I like it. When first launched, Alfred adds a menu bar item (this can be removed) and that's it. A customizable hotkey combination calls its main window into view, which can be themed.

Alfred comes with two themes, light and dark (I like light). Powerpack users (more on that later) can create their own and import themes made by others. You'll find some nice third-party themes at Alfred tips and deviantArt.

Text entered into the main window is nice and legible, as are search results. As you get into functions other than application launching, you'll find easily-interpreted icons. Finally, the main window features Alfred's hat logo and small cog that opens the preferences window; both of these can be switched off.

~~~
# 1
This record from Alexandria via LeMat-Bulk describes a relaxed structure of CaSbAu2. The functional is GGA-PBE.

Results
V: 91 Å³/f.u.
Total moment: 0.000 μB/f.u.
E: -3.638 eV/atom
Calculated density: 10.12 Mg/m³
Uncorrected formation energy: -0.47 eV/atom

a b c (Å): 3.818 3.818 6.258
angles (deg): 90.00 90.00 90.00
Positions (direct):
Ca 0.500 0.500 0.250
Au 0.000 0.000 0.492
Au 0.000 0.000 0.008
Sb 0.500 0.500 0.750


# 2
This record from Alexandria via LeMat-Bulk describes a relaxed structure of ZrCu2Pb2. The functional is GGA-PBE.

Results
V: 104 Å³/f.u.
Energy above the lowest structure with this stoichiometry: 48 meV per atom
Total moment: 0.000 μB/f.u.
E: -4.675 eV/atom
Energy relative to the elements: 0.157 eV/atom
Calculated density: 10.07 Mg/m³

a b c (Å): 3.437 3.437 9.160
angles (deg): 79.19 79.19 90.00
Positions (direct):
Cu 0.750 0.250 0.500
Cu 0.250 0.750 0.500
Zr 0.000 0.000 0.000
Pb 0.381 0.381 0.238
Pb 0.619 0.619 0.762


# 3
This record from Alexandria via LeMat-Bulk describes a relaxed structure of HoGeIr. The functional is GGA-PBE.

Results
V: 56 Å³/f.u.
Total moment: 0.000 μB/f.u.
E: -6.958 eV/atom
Energy relative to the elements: -0.939 eV/atom
Calculated density: 12.68 Mg/m³

a b c (Å): 4.315 6.865 7.604
angles (deg): 90.00 90.00 90.00
Positions (direct):
Ge 0.250 0.291 0.610
Ho 0.250 0.004 0.307
Ir 0.750 0.838 0.066
Ge 0.750 0.709 0.390
Ho 0.250 0.504 0.193
Ir 0.250 0.662 0.566
Ir 0.250 0.162 0.934
Ge 0.750 0.209 0.110
Ho 0.750 0.496 0.807
Ho 0.750 0.996 0.693
Ir 0.750 0.338 0.434
Ge 0.250 0.791 0.890


# 4
This record from Alexandria via LeMat-Bulk describes a relaxed structure of BaYRe2. The functional is GGA-PBE.

Results
V: 109 Å³/f.u.
Energy above the lowest structure with this stoichiometry: 237 meV per atom
Total moment: 0.000 μB/f.u.
E: -7.814 eV/atom
Energy relative to the elements: 0.507 eV/atom
Calculated density: 9.15 Mg/m³

a b c (Å): 4.025 3.166 9.050
angles (deg): 70.34 90.00 90.00
Positions (direct):
Re 0.500 0.232 0.190
Re 0.000 0.968 0.095
Ba 0.500 0.849 0.808
Y 0.000 0.451 0.407


# 5
This record from Alexandria via LeMat-Bulk describes a relaxed structure of ZrInW2. The functional is GGA-PBE.

Results
V: 82 Å³/f.u.
Total moment: 0.000 μB/f.u.
E: -8.170 eV/atom
Energy relative to the elements: 1.128 eV/atom
Calculated density: 11.64 Mg/m³

a b c (Å): 7.644 7.644 6.088
angles (deg): 51.11 51.11 90.00
Positions (direct):
In 0.000 0.000 0.000
Zr 0.250 0.750 0.500
W 0.875 0.883 0.750
W 0.375 0.367 0.750
Zr 0.500 0.500 0.000
W 0.633 0.125 0.250
In 0.750 0.250 0.500
W 0.117 0.625 0.250


# 6
This record from Alexandria via LeMat-Bulk describes a relaxed structure of Co2W. The functional is GGA-PBE.

Results
V: 39 Å³/f.u.
Total moment: 0.067 μB/f.u.
E: -8.719 eV/atom
Energy relative to the elements: 0.336 eV/atom
Calculated density: 12.74 Mg/m³

a b c (Å): 2.595 3.860 15.704
angles (deg): 90.00 90.00 90.00
Last column: magnetic moment on the atom in μB.
Positions (direct):
W 0.000 0.250 0.613  -0.01
~~~


There are five main preference panes; six if you've bought the Powerpack. The General pane lets you choose hotkey for the main window and navigation. Those who dislike removing their hands from the keyboard (like yours truly) will have fun putzing around, setting key combinations for local search, Spotlight and the web. Finally, you can have Alfred check for updates automatically or manually, and even opt into receiving pre-releases (I do).

The Features preference is the most expansive and powerful. Alfred's options are divided into five categories: basic, local, web, accessories and advanced. Basic options give you control over default results. You can choose to include or exclude folders, bookmarks, images or text files, for example. Likewise, you're free to include or exclude your Home Folders or specific directories by path. Alfred offers fine-grained control for nit-pickers like me.

Local options let you include or exclude applications, while file search options offer something fun. As I said, Alfred is more than a launcher. It'll also open files, find files and peek inside them. Here you can select the command that tells Alfred to do each of these tasks. For example, "find flowers.jpg" will reveal that item in the Finder. Neat! If you've bought the Powerpack, you can then email flowers.jpg, move it and so on.

Web search options are insanely detailed, so I'll only offer a few. The syntax is simple. For example, you can tell Alfred "Search Google Maps for '...'," "Open Twitter user '...'," or "Ask Wolfram '...'." There are similar options for Amazon, Linked In, YouTube, Facebook, Flickr, local weather ... on and on and on. You can also create custom searches. For example, I made one that brings me right to the content area of TUAW's CMS. Nice! Each of these can be toggled on or off.

System commands offer more fun. Create your own commands for shutdown, restart, lock, sleep, empty (or view) the trash, start the screensaver or eject media. I especially love hitting Command+Space (my Alfred key combo) Shutdown at the end of the day.

........
Arrangement P

# Mn3HOs | the Alexandria database | PBE-GGA | optimized geometry
data_Mn3HOs
_chemical_formula_sum 'Mn12 H4 Os4'
_cell_length_a 8.2699
_cell_length_b 3.6859
_cell_length_c 7.4027
_cell_angle_alpha 90.00
_cell_angle_beta 116.57
_cell_angle_gamma 90.00
_space_group_name_H-M_alt 'C 1 2/m 1'
_space_group_IT_number 12
loop_
_space_group_symop_operation_xyz
'x,y,z'
'-x,-y,-z'
'-x,y,-z'
'x,-y,z'
'x+1/2,y+1/2,z'
'-x+1/2,-y+1/2,-z'
'-x+1/2,y+1/2,-z'
'x+1/2,-y+1/2,z'
loop_
_atom_site_label
_atom_site_type_symbol
_atom_site_fract_x
_atom_site_fract_y
_atom_site_fract_z
Mn1 Mn 0.1263 0.0000 0.4371
Mn2 Mn 0.1277 0.5000 0.6952
Mn3 Mn 0.1325 0.5000 0.1975
H1 H 0.1227 0.5000 0.4496
Os1 Os 0.1231 0.0000 0.9333
# total magnetization: 0.090 μB per atom


Arrangement Q

# Mn3HOs | the Alexandria database | PBE-GGA | optimized geometry
data_Mn3HOs
_chemical_formula_sum 'Mn12 H4 Os4'
_cell_length_a 4.2247
_cell_length_b 4.2247
_cell_length_c 17.1978
_cell_angle_alpha 90.00
_cell_angle_beta 90.00
_cell_angle_gamma 90.00
_space_group_name_H-M_alt 'I -4 m 2'
_space_group_IT_number 119
_space_group_name_Hall 'I -4 -2'
loop_
_atom_site_label
_atom_site_type_symbol
_atom_site_fract_x
_atom_site_fract_y
_atom_site_fract_z
Mn1 Mn 0.0000 0.0000 0.1714
Mn2 Mn 0.0000 0.2464 0.6203
H1 H 0.0000 0.5000 0.1356
Os1 Os 0.0000 0.0000 0.5000
Os2 Os 0.0000 0.5000 0.7500
# total magnetization: 0.331 μB per atom


We find arrangement P to be the most stable, with the next structure 121.4 kJ/mol of atoms higher.


Arrangement P

# Ac2La3Pr | the Alexandria database | PBE-GGA | optimized geometry
data_Ac2La3Pr
_chemical_formula_sum 'Ac4 La6 Pr2'
_cell_length_a 5.4164
_cell_length_b 8.5281
_cell_length_c 11.4291
_cell_angle_alpha 98.68
_cell_angle_beta 103.68
_cell_angle_gamma 108.39
_space_group_name_H-M_alt 'P -1'
_space_group_IT_number 2
loop_
_space_group_symop_operation_xyz
'x,y,z'
'-x,-y,-z'
loop_
_atom_site_label
_atom_site_type_symbol
_atom_site_fract_x
_atom_site_fract_y
_atom_site_fract_z
Ac1 Ac 0.1604 0.4521 0.3686
Ac2 Ac 0.1686 0.2053 0.6316
La1 La 0.1633 0.7088 0.1177
La2 La 0.1711 0.9613 0.8811
La3 La 0.4956 0.3713 0.1195
Pr1 Pr 0.4966 0.1225 0.3705
# total magnetization: 0.000 μB per atom


Arrangement Q

# Ac2La3Pr | the Alexandria database | PBE-GGA | optimized geometry
data_Ac2La3Pr
_chemical_formula_sum 'Ac4 La6 Pr2'
_cell_length_a 7.4029
_cell_length_b 17.4024
_cell_length_c 3.7254
_cell_angle_alpha 90.00
_cell_angle_beta 90.00
_cell_angle_gamma 90.00
_space_group_name_H-M_alt 'P n n m'
_space_group_IT_number 58
loop_
_space_group_symop_operation_xyz
'x,y,z'
'-x,-y,-z'
'-x,-y,z'
'x,y,-z'
'x+1/2,-y+1/2,-z+1/2'
'-x+1/2,y+1/2,z+1/2'
'-x+1/2,y+1/2,-z+1/2'
'x+1/2,-y+1/2,z+1/2'
loop_
_atom_site_label
_atom_site_type_symbol
_atom_site_fract_x
_atom_site_fract_y
_atom_site_fract_z
Ac1 Ac 0.2493 0.1619 0.0000
La1 La 0.0000 0.5000 0.0000
La2 La 0.2486 0.8510 0.0000
Pr1 Pr 0.0000 0.0000 0.5000
# total magnetization: 0.000 μB per atom
........

The fun is only getting started! You'll also find a calculator (Command+Space 5*3 returns 15), dictionary (Command+Space "spell '...' offers the correct spelling and puts it on the clipboard), email (with an option to use Apple's Mail or Gmail via a browser) and Address Book integration.

Finally, advanced preferences let you navigate the Finder, control iTunes via a very nice built-in controller, browse a clipboard history and even pass shell commands to the Terminal.

-- These records of crystals were left in the article by mistake --
- - -
Here is KCdInHg6 after structural relaxation from Alexandria. Energies are from PBE-GGA.

abc: 5.6450 5.6450 11.2482
angles: 90.03 90.03 120.10
With the nearest neighbours (Å) after each atom.
Fractional positions:
1 K 0.0000 0.0000 0.0000  6 Hg 3.52
2 Cd 0.3338 0.6662 0.5000  6 Hg 3.23-3.24, 3 In 3.25-3.26
3 In 0.6664 0.3336 0.5000  3 Cd 3.25-3.26, 6 Hg 3.26
4 Hg 0.0050 0.3323 0.2652  6 Hg 3.22-3.32, 1 Cd 3.23, 1 In 3.26, 1 K 3.52
5 Hg 0.0063 0.6730 0.7348  6 Hg 3.23-3.31, 1 Cd 3.24, 1 In 3.26, 1 K 3.52
6 Hg 0.3270 0.9937 0.2652  6 Hg 3.23-3.31, 1 Cd 3.24, 1 In 3.26, 1 K 3.52
7 Hg 0.3279 0.3333 0.7351  6 Hg 3.22-3.32, 1 Cd 3.24, 1 In 3.26, 1 K 3.52
8 Hg 0.6667 0.6721 0.2649  6 Hg 3.22-3.32, 1 Cd 3.24, 1 In 3.26, 1 K 3.52
9 Hg 0.6677 0.9950 0.7348  6 Hg 3.22-3.32, 1 Cd 3.23, 1 In 3.26, 1 K 3.52

Computed properties:
- D(E_F): 3.575 states/eV/cell
- Total energy: -6.845 eV per cell
- M_tot: 0.0 μB/f.u.
- SG: C2
- Energy of formation from the pure elements: -0.031 eV/atom

----------

# 1
A geometry-optimized InSiBr structure. Source: the Alexandria database, functional PBE-GGA.

* energy: -8.21 eV per cell

a = 4.964 Å, b = 4.964 Å, c = 4.964 Å
α = 60.00°, β = 60.00°, γ = 60.00°
Element x y z (fractional)
Si 0.000 0.000 0.000
In 0.750 0.750 0.750
Br 0.500 0.500 0.500

---

# 2
A geometry-optimized InSiBr2 structure. Source: the Alexandria database, functional PBE-GGA.

* energy above the lowest structure with this stoichiometry: 298 meV/atom

a = 5.938 Å, b = 5.938 Å, c = 9.482 Å
α = 71.75°, β = 71.75°, γ = 90.00°
Element x y z (fractional)
Br 0.195 0.625 0.250
Br 0.555 0.125 0.250
Si 0.500 0.500 0.000
In 0.000 0.000 0.000
In 0.750 0.250 0.500
Si 0.250 0.750 0.500
Br 0.375 0.445 0.750
Br 0.875 0.805 0.750

---

# 3
A geometry-optimized InSiBr2 structure. Source: the Alexandria database, functional PBE-GGA.

* energy above the lowest structure with this stoichiometry: 0 meV/atom

a = 5.587 Å, b = 3.956 Å, c = 6.354 Å
α = 71.90°, β = 90.00°, γ = 90.00°
Element x y z (fractional)
Si 0.500 0.637 0.602
Br 0.500 0.271 0.333
Br 0.000 0.962 0.951
In 0.000 0.630 0.614

---

# 4
A geometry-optimized InSiBr structure. Source: the Alexandria database, functional PBE-GGA.

* energy: -8.95 eV per cell

a = 8.137 Å, b = 7.762 Å, c = 3.388 Å
α = 83.96°, β = 71.57°, γ = 24.46°
Element x y z (fractional)
In 0.319 0.319 0.681
Si 0.656 0.656 0.344
Br 0.024 0.024 0.976

---

# 5
A geometry-optimized InSiBr4 structure. Source: the Alexandria database, functional PBE-GGA.

* energy: -11.03 eV per cell

a = 6.396 Å, b = 6.396 Å, c = 6.396 Å
α = 60.00°, β = 60.00°, γ = 60.00°
Element x y z (fractional)
Si 0.000 0.000 0.000
Br 0.875 0.375 0.375
In 0.750 0.750 0.750
Br 0.375 0.375 0.375
Br 0.375 0.875 0.375
Br 0.375 0.375 0.875

---

# 6
A geometry-optimized InSiBr2 structure. Source: the Alexandria database, functional PBE-GGA.

* energy above the lowest structure with this stoichiometry: 278 meV/atom

a = 3.702 Å, b = 6.194 Å, c = 4.635 Å
- - -

Additional preferences let you control the appearance as mentioned above and display your stats, which is fun. I've launched Alfred 1,544 times since December 15, 2010. An average of 20.3 times per day. Yowsa.


Alfred is free to use. The out-of-the-box version offers app launching, file, web and custom search, system controls, the calculator and spelling options. Your experience is further enhanced by purchasing the Powerpack.

The Powerpack

The Powerpack is a collection of additional functionality. For the regular price of £12, the Powerpack offers actions on files (email to, move to, etc.), the iTunes mini player, full file system navigation, clipboard history and snippets (I've found this to be quite useful), Address Book integration, access to recent documents and color theming, plus email and terminal support. It's a small price to pay for a huge number of additional goodies. Most importantly, goodies that you'll use. I've tried software whose marquee features I never found that useful. On the contrary, Alfred's Powerpack has been a real boon to me.


This type of utility isn't new. As I said, Quicksilver has existed for years, as does the immensely popular Launchbar. All three are great, but for different reasons. While Alfred's customization options are good, they'll leave those used to bending Launchbar to their every whim wanting. On the other hand, those who want to get up and and go with minimal fuss ought to try Alfred. And why not? It's free out of the box and for a measly £12 you get all that other great stuff.

Now for the good news. As Alfred celebrates its first birthday today, the Powerpack is available at a 10% discount.

Alfred is a great little app that you'll be thrilled to own. I recommend it.